_Assignment_
It remains to filter the rows below: keep the lines with the word "Output".

_Material_
- - -
Record 1
DFT (PBE) results for Ac2MgTl after structural relaxation.

Cell lengths 8.261, 8.261, 8.261 Å; angles 90.00, 90.00, 90.00 degrees
Space group Fm-3m (No. 225)
Unique sites:
Ac (0.250, 0.250, 0.250) [8 per cell]
Mg (0.000, 0.000, 0.000) [4 per cell]
Tl (0.000, 0.000, 0.500) [4 per cell]

Output
ΔH_f (0 K) ... -0.2090 eV per atom
Crystal system ... cubic



Record 2
DFT (PBE) results for Na3Mg3InS6O24 after structural relaxation.

Cell lengths 8.783, 8.997, 15.234 Å; angles 73.65, 89.99, 60.80 degrees
Space group P1 (No. 1)
Unique sites:
Na (0.000, 0.000, 0.000) [1 per cell]
Na (0.017, 0.705, 0.872) [1 per cell]
Na (0.281, 0.484, 0.731) [1 per cell]
Na (0.476, 0.711, 0.050) [1 per cell]
Na (0.512, 0.991, 0.491) [1 per cell]
Na (0.778, 0.487, 0.255) [1 per cell]
Mg (0.041, 0.936, 0.667) [1 per cell]
Mg (0.237, 0.534, 0.073) [1 per cell]
Mg (0.480, 0.052, 0.817) [1 per cell]
Mg (0.539, 0.946, 0.168) [1 per cell]
Mg (0.792, 0.427, 0.918) [1 per cell]
Mg (0.982, 0.052, 0.312) [1 per cell]
In (0.289, 0.437, 0.417) [1 per cell]
In (0.736, 0.544, 0.566) [1 per cell]
S (0.188, 0.238, 0.619) [1 per cell]
S (0.238, 0.241, 0.968) [1 per cell]
S (0.239, 0.238, 0.266) [1 per cell]
S (0.281, 0.745, 0.515) [1 per cell]
S (0.287, 0.745, 0.216) [1 per cell]
S (0.343, 0.741, 0.866) [1 per cell]
S (0.682, 0.249, 0.117) [1 per cell]
S (0.743, 0.238, 0.467) [1 per cell]
S (0.744, 0.230, 0.769) [1 per cell]
S (0.782, 0.743, 0.721) [1 per cell]
S (0.784, 0.744, 0.014) [1 per cell]
S (0.837, 0.747, 0.364) [1 per cell]
O (0.007, 0.570, 0.388) [1 per cell]
O (0.017, 0.414, 0.594) [1 per cell]
O (0.066, 0.249, 0.959) [1 per cell]
O (0.074, 0.234, 0.279) [1 per cell]
O (0.149, 0.902, 0.236) [1 per cell]
O (0.161, 0.085, 0.641) [1 per cell]
O (0.162, 0.897, 0.435) [1 per cell]
O (0.195, 0.406, 0.192) [1 per cell]
O (0.211, 0.407, 0.986) [1 per cell]
O (0.211, 0.754, 0.603) [1 per cell]
O (0.221, 0.734, 0.129) [1 per cell]
O (0.236, 0.747, 0.787) [1 per cell]
O (0.247, 0.732, 0.948) [1 per cell]
O (0.284, 0.236, 0.537) [1 per cell]
O (0.292, 0.232, 0.697) [1 per cell]
O (0.309, 0.239, 0.879) [1 per cell]
O (0.314, 0.236, 0.356) [1 per cell]
O (0.320, 0.568, 0.507) [1 per cell]
O (0.344, 0.575, 0.294) [1 per cell]
O (0.354, 0.904, 0.847) [1 per cell]
O (0.361, 0.077, 0.045) [1 per cell]
O (0.373, 0.077, 0.247) [1 per cell]
O (0.451, 0.754, 0.201) [1 per cell]
O (0.453, 0.744, 0.523) [1 per cell]
O (0.507, 0.420, 0.095) [1 per cell]
O (0.519, 0.578, 0.887) [1 per cell]
O (0.572, 0.238, 0.462) [1 per cell]
O (0.577, 0.228, 0.779) [1 per cell]
O (0.645, 0.906, 0.738) [1 per cell]
O (0.659, 0.092, 0.138) [1 per cell]
O (0.669, 0.908, 0.935) [1 per cell]
O (0.697, 0.397, 0.690) [1 per cell]
O (0.705, 0.415, 0.475) [1 per cell]
O (0.709, 0.754, 0.102) [1 per cell]
O (0.714, 0.739, 0.631) [1 per cell]
O (0.731, 0.756, 0.286) [1 per cell]
O (0.743, 0.746, 0.447) [1 per cell]
O (0.775, 0.253, 0.036) [1 per cell]
O (0.786, 0.240, 0.197) [1 per cell]
O (0.798, 0.584, 0.996) [1 per cell]
O (0.811, 0.242, 0.855) [1 per cell]
O (0.814, 0.227, 0.381) [1 per cell]
O (0.829, 0.579, 0.798) [1 per cell]
O (0.862, 0.087, 0.548) [1 per cell]
O (0.865, 0.899, 0.344) [1 per cell]
O (0.882, 0.066, 0.752) [1 per cell]
O (0.949, 0.749, 0.711) [1 per cell]
O (0.961, 0.728, 0.023) [1 per cell]

Output
Relative energy among the computed polymorphs ... 0.000 eV/atom
ΔH_f (0 K) ... -2.2560 eV per atom
Crystal system ... triclinic
Spin magnetization ... 0.00 μB per atom



Record 3
DFT (PBE) results for Fe4IrN4 after structural relaxation.

Cell lengths 5.416, 5.646, 6.625 Å; angles 91.87, 103.68, 117.36 degrees
Space group P-1 (No. 2)
Unique sites:
Fe (0.034, 0.321, 0.092) [2 per cell]
Fe (0.271, 0.587, 0.471) [2 per cell]
Fe (0.310, 0.054, 0.718) [2 per cell]
Fe (0.411, 0.658, 0.924) [2 per cell]
Ir (0.209, 0.006, 0.278) [2 per cell]
N (0.143, 0.673, 0.690) [2 per cell]
N (0.221, 0.272, 0.888) [2 per cell]
N (0.273, 0.703, 0.165) [2 per cell]
N (0.333, 0.283, 0.516) [2 per cell]
- - -

_Response_
Output
Output